Assignment
Please write out the material further down from the first line to the one with "Ti1 0.1742" exactly.
Given
[1]
For Pr5Nd5Sn6, a DFT-relaxed cell (GGA-PBE, Alexandria) gives the calculated PXRD pattern in this record (Cu Kα).
No peak broadening, texture or thermal motion is included.

Principal peaks in the range 10 to 90 degrees two-theta, by angle:
two_theta	I (rel.)	index
28.3	18	2 2 0
29.2	31	0 5 1
32.0	100	1 5 1
32.4	81	2 0 2
33.2	43	0 6 0
47.1	20	2 6 2
49.8	29	3 5 1
63.5	18	2 10 0

Crystal structure
```
data_Pr5Nd5Sn6
_space_group_name_H-M_alt 'A m m 2'
_space_group_IT_number 38
_cell_length_a 6.8605
_cell_length_b 16.1801
_cell_length_c 9.3537
_cell_angle_alpha 90.00
_cell_angle_beta 90.00
_cell_angle_gamma 90.00
loop_
_space_group_symop_operation_xyz
'x,y,z'
'-x,-y,z'
'-x,y,z'
'x,-y,z'
'x,y+1/2,z+1/2'
'-x,-y+1/2,z+1/2'
'-x,y+1/2,z+1/2'
'x,-y+1/2,z+1/2'
loop_
_atom_site_label
_atom_site_fract_x
_atom_site_fract_y
_atom_site_fract_z
_atom_site_occupancy
Pr1 0.0000 0.0000 0.0000 1
Pr2 0.0000 0.1212 0.3650 1
Pr3 0.5000 0.1214 0.1219 1
Nd1 0.2501 0.1668 0.7435 1
Nd2 0.5000 0.0000 0.4874 1
Sn1 0.0000 0.0000 0.6380 1
Sn2 0.0000 0.1972 0.0463 1
Sn3 0.5000 0.0000 0.8484 1
Sn4 0.5000 0.1965 0.4407 1
```

=====

[2]
For NaLi4Mg5, a DFT-relaxed cell (GGA-PBE, Alexandria) gives the calculated PXRD pattern in this record (Cu Kα).
No peak broadening, texture or thermal motion is included.

Principal peaks in the range 10 to 90 degrees two-theta, by angle:
two_theta	I (rel.)	index
26.1	43	1 0 0
28.6	20	0 0 6
32.5	21	1 0 4
35.6	100	1 0 5
37.3	70	1 1 0
39.1	22	1 0 6
53.7	23	2 0 0
66.1	30	2 1 5

Crystal structure
```
data_NaLi4Mg5
_space_group_name_H-M_alt 'P 4/m m m'
_space_group_IT_number 123
_space_group_name_Hall '-P 4 2'
_cell_length_a 3.4116
_cell_length_b 3.4116
_cell_length_c 18.7100
_cell_angle_alpha 90.00
_cell_angle_beta 90.00
_cell_angle_gamma 90.00
loop_
_atom_site_label
_atom_site_fract_x
_atom_site_fract_y
_atom_site_fract_z
_atom_site_occupancy
Na1 0.0000 0.0000 0.0000 1
Li1 0.0000 0.0000 0.2251 1
Li2 0.0000 0.0000 0.4083 1
Mg1 0.5000 0.5000 0.1333 1
Mg2 0.5000 0.5000 0.3166 1
Mg3 0.5000 0.5000 0.5000 1
```

=====

[3]
For NaPaTe4, a DFT-relaxed cell (GGA-PBE, Alexandria) gives the calculated PXRD pattern in this record (Cu Kα).
No peak broadening, texture or thermal motion is included.

Principal peaks in the range 10 to 90 degrees two-theta, by angle:
two_theta	I (rel.)	index
11.0	78	0 0 1
21.4	27	1 1 1
28.8	66	1 1 2
31.2	100	2 1 1
34.4	53	2 0 2
41.6	43	3 1 0
44.9	29	2 1 3
61.8	25	3 3 2

Crystal structure
```
data_NaPaTe4
_space_group_name_H-M_alt 'P 4/n b m'
_space_group_IT_number 125
_cell_length_a 6.8606
_cell_length_b 6.8606
_cell_length_c 8.0380
_cell_angle_alpha 90.00
_cell_angle_beta 90.00
_cell_angle_gamma 90.00
loop_
_space_group_symop_operation_xyz
'x,y,z'
'-x,-y,-z'
'-y+1/2,x,z'
'y+1/2,-x,-z'
'-x+1/2,-y+1/2,z'
'x+1/2,y+1/2,-z'
'y,-x+1/2,z'
'-y,x+1/2,-z'
'x,-y+1/2,-z'
'-x,y+1/2,z'
'-y+1/2,-x+1/2,-z'
'y+1/2,x+1/2,z'
'-x+1/2,y,-z'
'x+1/2,-y,z'
'y,x,-z'
'-y,-x,z'
loop_
_atom_site_label
_atom_site_fract_x
_atom_site_fract_y
_atom_site_fract_z
_atom_site_occupancy
Na1 0.2500 0.2500 0.0000 1
Pa1 0.2500 0.2500 0.5000 1
Te1 0.0921 0.5921 0.2767 1
```

=====

[4]
For ZrTi4Al4, a DFT-relaxed cell (GGA-PBE, Alexandria) gives the calculated PXRD pattern in this record (Cu Kα).
No peak broadening, texture or thermal motion is included.

Principal peaks in the range 10 to 90 degrees two-theta, by angle:
two_theta	I (rel.)	index
14.3	24	1 1 0
31.9	17	2 1 1
38.1	100	3 0 1
43.9	32	3 3 0
44.9	15	0 0 2
64.6	19	3 3 2
76.8	22	6 3 1
78.3	11	3 0 3

Crystal structure
```
data_ZrTi4Al4
_space_group_name_H-M_alt 'I 4/m m m'
_space_group_IT_number 139
_space_group_name_Hall '-I 4 2'
_cell_length_a 8.7455
_cell_length_b 8.7455
_cell_length_c 4.0352
_cell_angle_alpha 90.00
_cell_angle_beta 90.00
_cell_angle_gamma 90.00
loop_
_atom_site_label
_atom_site_fract_x
_atom_site_fract_y
_atom_site_fract_z
_atom_site_occupancy
Zr1 0.0000 0.0000 0.0000 1
Ti1 0.1742 0.1742 0.5000 1
Al1 0.0000 0.3323 0.0000 1
```

=====

[5]
Written answer
[1]
For Pr5Nd5Sn6, a DFT-relaxed cell (GGA-PBE, Alexandria) gives the calculated PXRD pattern in this record (Cu Kα).
No peak broadening, texture or thermal motion is included.

Principal peaks in the range 10 to 90 degrees two-theta, by angle:
two_theta	I (rel.)	index
28.3	18	2 2 0
29.2	31	0 5 1
32.0	100	1 5 1
32.4	81	2 0 2
33.2	43	0 6 0
47.1	20	2 6 2
49.8	29	3 5 1
63.5	18	2 10 0

Crystal structure
```
data_Pr5Nd5Sn6
_space_group_name_H-M_alt 'A m m 2'
_space_group_IT_number 38
_cell_length_a 6.8605
_cell_length_b 16.1801
_cell_length_c 9.3537
_cell_angle_alpha 90.00
_cell_angle_beta 90.00
_cell_angle_gamma 90.00
loop_
_space_group_symop_operation_xyz
'x,y,z'
'-x,-y,z'
'-x,y,z'
'x,-y,z'
'x,y+1/2,z+1/2'
'-x,-y+1/2,z+1/2'
'-x,y+1/2,z+1/2'
'x,-y+1/2,z+1/2'
loop_
_atom_site_label
_atom_site_fract_x
_atom_site_fract_y
_atom_site_fract_z
_atom_site_occupancy
Pr1 0.0000 0.0000 0.0000 1
Pr2 0.0000 0.1212 0.3650 1
Pr3 0.5000 0.1214 0.1219 1
Nd1 0.2501 0.1668 0.7435 1
Nd2 0.5000 0.0000 0.4874 1
Sn1 0.0000 0.0000 0.6380 1
Sn2 0.0000 0.1972 0.0463 1
Sn3 0.5000 0.0000 0.8484 1
Sn4 0.5000 0.1965 0.4407 1
```

=====

[2]
For NaLi4Mg5, a DFT-relaxed cell (GGA-PBE, Alexandria) gives the calculated PXRD pattern in this record (Cu Kα).
No peak broadening, texture or thermal motion is included.

Principal peaks in the range 10 to 90 degrees two-theta, by angle:
two_theta	I (rel.)	index
26.1	43	1 0 0
28.6	20	0 0 6
32.5	21	1 0 4
35.6	100	1 0 5
37.3	70	1 1 0
39.1	22	1 0 6
53.7	23	2 0 0
66.1	30	2 1 5

Crystal structure
```
data_NaLi4Mg5
_space_group_name_H-M_alt 'P 4/m m m'
_space_group_IT_number 123
_space_group_name_Hall '-P 4 2'
_cell_length_a 3.4116
_cell_length_b 3.4116
_cell_length_c 18.7100
_cell_angle_alpha 90.00
_cell_angle_beta 90.00
_cell_angle_gamma 90.00
loop_
_atom_site_label
_atom_site_fract_x
_atom_site_fract_y
_atom_site_fract_z
_atom_site_occupancy
Na1 0.0000 0.0000 0.0000 1
Li1 0.0000 0.0000 0.2251 1
Li2 0.0000 0.0000 0.4083 1
Mg1 0.5000 0.5000 0.1333 1
Mg2 0.5000 0.5000 0.3166 1
Mg3 0.5000 0.5000 0.5000 1
```

=====

[3]
For NaPaTe4, a DFT-relaxed cell (GGA-PBE, Alexandria) gives the calculated PXRD pattern in this record (Cu Kα).
No peak broadening, texture or thermal motion is included.

Principal peaks in the range 10 to 90 degrees two-theta, by angle:
two_theta	I (rel.)	index
11.0	78	0 0 1
21.4	27	1 1 1
28.8	66	1 1 2
31.2	100	2 1 1
34.4	53	2 0 2
41.6	43	3 1 0
44.9	29	2 1 3
61.8	25	3 3 2

Crystal structure
```
data_NaPaTe4
_space_group_name_H-M_alt 'P 4/n b m'
_space_group_IT_number 125
_cell_length_a 6.8606
_cell_length_b 6.8606
_cell_length_c 8.0380
_cell_angle_alpha 90.00
_cell_angle_beta 90.00
_cell_angle_gamma 90.00
loop_
_space_group_symop_operation_xyz
'x,y,z'
'-x,-y,-z'
'-y+1/2,x,z'
'y+1/2,-x,-z'
'-x+1/2,-y+1/2,z'
'x+1/2,y+1/2,-z'
'y,-x+1/2,z'
'-y,x+1/2,-z'
'x,-y+1/2,-z'
'-x,y+1/2,z'
'-y+1/2,-x+1/2,-z'
'y+1/2,x+1/2,z'
'-x+1/2,y,-z'
'x+1/2,-y,z'
'y,x,-z'
'-y,-x,z'
loop_
_atom_site_label
_atom_site_fract_x
_atom_site_fract_y
_atom_site_fract_z
_atom_site_occupancy
Na1 0.2500 0.2500 0.0000 1
Pa1 0.2500 0.2500 0.5000 1
Te1 0.0921 0.5921 0.2767 1
```

=====

[4]
For ZrTi4Al4, a DFT-relaxed cell (GGA-PBE, Alexandria) gives the calculated PXRD pattern in this record (Cu Kα).
No peak broadening, texture or thermal motion is included.

Principal peaks in the range 10 to 90 degrees two-theta, by angle:
two_theta	I (rel.)	index
14.3	24	1 1 0
31.9	17	2 1 1
38.1	100	3 0 1
43.9	32	3 3 0
44.9	15	0 0 2
64.6	19	3 3 2
76.8	22	6 3 1
78.3	11	3 0 3

Crystal structure
```
data_ZrTi4Al4
_space_group_name_H-M_alt 'I 4/m m m'
_space_group_IT_number 139
_space_group_name_Hall '-I 4 2'
_cell_length_a 8.7455
_cell_length_b 8.7455
_cell_length_c 4.0352
_cell_angle_alpha 90.00
_cell_angle_beta 90.00
_cell_angle_gamma 90.00
loop_
_atom_site_label
_atom_site_fract_x
_atom_site_fract_y
_atom_site_fract_z
_atom_site_occupancy
Zr1 0.0000 0.0000 0.0000 1
Ti1 0.1742 0.1742 0.5000 1